Flash-Tattoos of Paris

Image Credit: Facebook/Flash-tattoos et piercings—La Mutinerie
Chronicles of body art, bars, and personal experience.

Flash tattoos have become a la mode in Paris—a person can walk into a bar, grab a beer, and get a casual tattoo in front of onlookers. It's a way to make an intimate moment between an artist and a customer much more familiar and open. The flash-tattoo event on October 16, 2017, was the first of a two-day-long affair. La Mutinerie, a bar situated in the heart of Le Marais, the art district of Paris, hosted the event. Tattoo artists Victoria Linhares and Jess concentrate on their art, as people are moving in and out of the bar to get inked. If you have the cash and the desire for a new tattoo, whether it is your first tattoo or the next one in your personal series, flash-tattoo events are a cool place to get them. You pick out a design, grab a beer while you wait for your turn, and go and get inked. By the time you leave the bar you'll have a happy buzz on as well as a new design on your body.

Image Credit: Leona Caanen

A flash-tattoo event, to put it in simple terms, is like a mini tattoo convention. There are usually only one or two talented but not famous tattoo artists and no entrance fee. These events are for people to come and get a tattoo, or a piercing, or to just observe and admire fellow Parisians getting inked. The photograph above shows some of the designs that were offered in the look-book. As a first-timer at a flash-tattoo event, I was surprised not just by the venue, but also to see how relaxed all the people were: both tattoo artists and participants. The only one that was not relaxed but extremely excited was the spotted puppy roaming through the bar. 

Image Credit: Leona Caanen

If you know Heather Linebaugh, you know she adores tattoos. Tagging along with her friend, Heather "spontaneously found the tattoo at the table of an artist who was there from Clermont-Ferrand, France." Up until that point, no tattoo artist had yet managed to grasp Heather's attention and keep her interested, until Audrey appeared. "Her name is Audrey Contesse de Whitechurch... I'd never known who she was before this... [but] her work is really remarkable and I'd recommend her to anyone who wants beautiful black and white work." Heather told me.

+++
Entry 1:
# Ac3Pr12Ho, optimized geometry, DFT PBE-GGA
data_Ac3Pr12Ho
_symmetry_space_group_name_H-M 'P 4/m m m'
_symmetry_Int_Tables_number 123
_symmetry_space_group_name_Hall '-P 4 2'
_cell_length_a 5.3100
_cell_length_b 5.3100
_cell_length_c 21.1780
_cell_angle_alpha 90.00
_cell_angle_beta 90.00
_cell_angle_gamma 90.00
loop_
_atom_site_label
_atom_site_type_symbol
_atom_site_fract_x
_atom_site_fract_y
_atom_site_fract_z
Ac1 Ac 0.0000 0.0000 0.0000
Ac2 Ac 0.0000 0.0000 0.2528
Pr1 Pr 0.0000 0.5000 0.1263
Pr2 Pr 0.0000 0.5000 0.3804
Pr3 Pr 0.5000 0.5000 0.0000
Pr4 Pr 0.5000 0.5000 0.2540
Pr5 Pr 0.5000 0.5000 0.5000
Ho1 Ho 0.0000 0.0000 0.5000
# Total moment (μB/f.u.): 0.00
# Electronic total energy (eV/atom): -4.622
# ΔH_f (0 K) (meV per atom): 19

Entry 2:
# Pm6Ir3Ru, optimized geometry, DFT PBE-GGA
data_Pm6Ir3Ru
_symmetry_space_group_name_H-M 'P 1 21/c 1'
_symmetry_Int_Tables_number 14
_cell_length_a 7.1094
_cell_length_b 7.4378
_cell_length_c 12.1259
_cell_angle_alpha 90.00
_cell_angle_beta 123.04
_cell_angle_gamma 90.00
loop_
_symmetry_equiv_pos_as_xyz
'x,y,z'
'-x,-y,-z'
'-x,y+1/2,-z+1/2'
'x,-y+1/2,z+1/2'
loop_
_atom_site_label
_atom_site_type_symbol
_atom_site_fract_x
_atom_site_fract_y
_atom_site_fract_z
Pm1 Pm 0.0747 0.0495 0.2502
Pm2 Pm 0.2554 0.6711 0.0840
Pm3 Pm 0.3977 0.1715 0.0670
Ir1 Ir 0.0000 0.0000 0.0000
Ir2 Ir 0.3163 0.1261 0.7838
Ru1 Ru 0.5000 0.0000 0.5000
# Total moment (μB/f.u.): 0.00
# Electronic total energy (eV/atom): -6.893
# ΔH_f (0 K) (meV per atom): -457
# Energy above the lowest structure with this stoichiometry (eV/atom): 0.0140

Entry 3:
# BaY2Te, optimized geometry, DFT PBE-GGA
data_BaY2Te
_symmetry_space_group_name_H-M 'R -3 m'
_symmetry_Int_Tables_number 166
_symmetry_space_group_name_Hall '-R 3 2"'
_cell_length_a 4.0828
_cell_length_b 4.0828
_cell_length_c 31.5077
_cell_angle_alpha 90.00
_cell_angle_beta 90.00
_cell_angle_gamma 120.00
loop_
_atom_site_label
_atom_site_type_symbol
_atom_site_fract_x
_atom_site_fract_y
_atom_site_fract_z
Ba1 Ba 0.0000 0.0000 0.0000
Y1 Y 0.0000 0.0000 0.2278
Te1 Te 0.0000 0.0000 0.5000
# Total moment (μB/f.u.): 0.00
# Electronic total energy (eV/atom): -4.983

Entry 4:
# ZnFe2NiS, optimized geometry, DFT PBE-GGA
data_ZnFe2NiS
_symmetry_space_group_name_H-M 'P 4/m m m'
_symmetry_Int_Tables_number 123
_symmetry_space_group_name_Hall '-P 4 2'
_cell_length_a 4.4789
_cell_length_b 4.4789
_cell_length_c 4.3121
_cell_angle_alpha 90.00
_cell_angle_beta 90.00
_cell_angle_gamma 90.00
loop_
_atom_site_label
_atom_site_type_symbol
_atom_site_fract_x
_atom_site_fract_y
_atom_site_fract_z
Zn1 Zn 0.0000 0.0000 0.0000
Fe1 Fe 0.0000 0.5000 0.0000
Ni1 Ni 0.0000 0.0000 0.5000
S1 S 0.5000 0.5000 0.5000
# Total moment (μB/f.u.): 6.09
# Electronic total energy (eV/atom): -4.477

Entry 5:
# Tb3PrSe4, optimized geometry, DFT PBE-GGA
data_Tb3PrSe4
_symmetry_space_group_name_H-M 'C m m m'
_symmetry_Int_Tables_number 65
_symmetry_space_group_name_Hall '-C 2 2'
_cell_length_a 8.3913
_cell_length_b 11.7138
+++

When asked about the privacy of being tattooed, Heather spoke about the difference between getting a tattoo at the event or at a tattoo parlor. "I think a big difference is privacy and timing. At a parlor, I can be alone with the artist and we talk and take our time. It's more intimate." The convention is its own experience, "the cool part of the convention, in particular, was that it was on a boat, so I got to look out the window at the clouds." Additionally, there is much less privacy at the flash-tattoo event, "People stopped and watched here and there, but I think just to get a glimpse of what I was having done."

Image Credit: Heather Linebaugh

If you ever want to get a tattoo for a very good price, stay on the look-out for the next flash-tattoo event coming to Paris; same goes for well-priced piercings. Take a friend, grab a beer, and get a new tattoo or piercing. Just make sure you are comfortable having about a dozen strangers watch as you get them.

The next upcoming one is Journée Flash Tattoo Halloween at Savage Tattoo on November 1st, 2017.

Written by Leona Caanen

20 years-old with an international mindset. Leona Caanen is the Freelance-editor of the Peacock. Caanen loves to travel and is always looking for new adventures.